Aaargh, neglecting the blog again. My big distraction today: as always happens, I looked over last year’s notes and grumped at myself and said this will not do, this is totally inadequate, I need to rewrite the whole thing. The plan for tomorrow was to talk about the pentose phosphate pathway AKA the hexose monophosphate shunt AKA the phosphogluconate pathway because this stuff is important and, weirdly, our textbook doesn’t even mention it, so I can’t even punt and tell the students to go away, don’t bother me, just read Chapter X. As is common in cell bio, all we talk about is how we burn sugar to make ATP, and very little about essential anabolic reactions. And that bothers me.
The PPP is cool beans, too, so I rewrote the lecture from the ground up to cover more of the details, expanding what used to be a short aside into the whole dang talk, and I’m probably going to terrify them all with a peek into more advanced biochemistry (this is a class for 2nd year students, so it’s introductory level) and the way all of biochemistry is tangled and intertwined, but hey, they’re smart students. They can take it.
Unfortunately, it’s stuff that isn’t going to entertain a more general audience, unless you think filling in the details on this introductory slide would get you excited.
Man, I was so into biochemistry as an undergrad, and then I got distracted by neuroscience and development. I need to begin a second lifetime so I can catch up.
Now I have to finish grading, which is far less enthralling.
Paul Erdős had a solution for that. Just sayin’.
You could spice up the lecture, and add “relevance”, by discussing G6PDH deficiency in humans, and fava beans.
Artor@1 Was that the amphetamines or the ability to pack his belongings in a suitcase and go somewhere else? Also, not sure which problem you are proposing to solve for PZ.
My ignorance of your field shows, PZ. All I understood was ‘cool beans’ and the concept of being behind the curve.
I am including a link if you want some comic relief from the daily slog.
A biology problem that needs to be solved: is this a freshwater shark or a land shark?
PZ, did you mean “anaerobic” there?
Artor@1– I don’t get the reference either.
chrislawson@6 I thought he meant anabolic, just as he wrote: reactions that build up molecules instead of breaking them down. But I got lost rapidly, so who knows?
### What comes next are calculated crystals, not part of the page
Entry from Materials Project: an optimized crystal structure of SrCd2Sb2 (PBE).

Output
ΔE_f ... -0.58 eV per atom
Calculated volume ... 157.56 Å³ per cell

Unit cell a=4.7972 b=4.7972 c=7.9056 alpha=90.00 beta=90.00 gamma=120.00
Space group P-3m1 (No. 164)
Symmetry-distinct sites (fractional):
Sr 0.0000 0.0000 0.0000 (multiplicity 1)
Cd 0.3333 0.6667 0.3678 (multiplicity 2)
Sb 0.3333 0.6667 0.7502 (multiplicity 2)

=====

Entry from Materials Project: an optimized crystal structure of Cs2RbScCl6 (PBE).

Output
ΔE_f ... -2.44 eV per atom
Calculated volume ... 1439.38 Å³ per cell

Unit cell a=11.291 b=11.291 c=11.291 alpha=90.00 beta=90.00 gamma=90.00
Space group Fm-3m (No. 225)
Symmetry-distinct sites (fractional):
Cs 0.250 0.250 0.250 (multiplicity 8)
Rb 0.000 0.000 0.000 (multiplicity 4)
Sc 0.000 0.000 0.500 (multiplicity 4)
Cl 0.000 0.000 0.278 (multiplicity 24)

=====

Entry from Materials Project: an optimized crystal structure of Ba3Sr3Sb2N2 (PBE).

Output
Total moment ... 0.003 μB per formula unit
ΔE_f ... -0.93 eV per atom
Calculated volume ... 627.22 Å³ per cell

Unit cell a=7.5468 b=7.5468 c=12.7165 alpha=90.00 beta=90.00 gamma=120.00
Space group P6_3/mmc (No. 194)
Symmetry-distinct sites (fractional):
Ba 0.1727 0.3454 0.2500 (multiplicity 6)
Sr 0.0000 0.5000 0.0000 (multiplicity 6)
Sb 0.0000 0.0000 0.0000 (multiplicity 2)
Sb 0.3333 0.6667 0.7500 (multiplicity 2)
N 0.3333 0.6667 0.1127 (multiplicity 4)

=====

Entry from Materials Project: an optimized crystal structure of Mg16Al12Pd (PBE).

Output
Total moment ... 0.004 μB per formula unit
Energy relative to the lowest polymorph listed for this composition ... 15.0 meV/atom
ΔE_f ... -0.06 eV per atom
Calculated volume ... 1722.32 Å³ per cell

Unit cell a=14.6918 b=14.6918 c=9.2137 alpha=90.00 beta=90.00 gamma=120.00
Space group R3m (No. 160, hexagonal axes)
Symmetry-distinct sites (fractional):
Mg 0.0000 0.0000 0.0000 (multiplicity 3)
Mg 0.0151 0.3076 0.2939 (multiplicity 18)
Mg 0.0639 0.5319 0.2055 (multiplicity 9)
Mg 0.1845 0.0922 0.5039 (multiplicity 9)
Mg 0.2166 0.4332 0.7728 (multiplicity 9)
Al 0.0006 0.1820 0.8063 (multiplicity 18)
Al 0.0629 0.1257 0.2807 (multiplicity 9)
Al 0.0782 0.5391 0.7169 (multiplicity 9)
Pd 0.0000 0.0000 0.7143 (multiplicity 3)

=====

Entry from Materials Project: an optimized crystal structure of Al2Cu (PBE).

Output
ΔE_f ... -0.18 eV per atom
Calculated volume ... 192.01 Å³ per cell

Unit cell a=5.769 b=5.769 c=5.769 alpha=90.00 beta=90.00 gamma=90.00
Space group Fm-3m (No. 225)
Symmetry-distinct sites (fractional):
Al 0.250 0.250 0.250 (multiplicity 8)
Cu 0.000 0.000 0.000 (multiplicity 4)

=====

Entry from Materials Project: an optimized crystal structure of Hf4NiP (PBE).

Output
Total moment ... 0.000 μB per formula unit
ΔE_f ... -0.64 eV per atom
Calculated volume ... 216.36 Å³ per cell

Unit cell a=6.425 b=6.425 c=5.240 alpha=90.00 beta=90.00 gamma=90.00
Space group P4/mcc (No. 124)
Symmetry-distinct sites (fractional):
Yes anabolic is correct- building new molecules, the opposite of catabolic) which often requires new carbon skeletons, for example to generate amino acids or heme groups. One of the major roles of this path in some tissues is to generate reducing power in the form of NADPH, which can add electrons and hydrogen to synthetic pathways. For example, the synthesis of fatty acids or sterols requires this pathway to be operating in high gear. In my 30+ years of teaching biochemistry this was one of my favorite things to teach. NADPH is also needed for drug detox metabolism and dealing with reactive oxygen species and oxidative damage.
General pattern (of course always with some exceptions) NADH used to carry reducing power in catabolims, NADPH in anabolism
As I vaguely mis-recall the details, Paul Erdős was a prolific mathematician, and he fueled his studies by a constant diet of amphetamines. He claimed he could stop whenever he wanted, and on the insistence of his colleagues who were worried about his health, he quit cold turkey for a month straight. Once he had proved he wasn’t technically an addict, he returned to his habit and told his friends that their little wager has set the study of mathematics back by several years, due to his lost productivity while not wigging out.
I am pretty sure the people at Fox News or Brit newspapers like The Sun or Daily Mail do not have the problem of investing so much time on accuracy. Career change?
Anabolic is not a synonym for anaerobic or aerobic or whatever.
Yep, I misunderstood. My only excuse is that years of covering basic biochem for med students has made me reach for “aerobic vs anaerobic” whenever the subject of burning sugar to make ATP comes up.